Material:
<<<
1.
154
Properties=species:S:1:pos:R:3:mulliken_charge:R:1 method="wB97M-V/def2-TZVPD" de_lowest_kj_mol=36.01 charge=+4 e_tot_ha=-4522.0213 e_homo_ev=-14.177 gap_ev=8.391 lumo_ev=-5.7857
C -2.730 10.947 5.358 -1.43
C -2.151 10.083 4.254 -0.08
N -3.123 9.197 3.681 0.22
C -3.047 8.412 2.510 -0.80
C -4.179 7.667 2.420 0.02
N -4.847 7.879 3.633 0.17
C -4.297 8.864 4.259 -0.13
C -6.018 7.073 3.977 -0.93
H -3.561 11.600 5.015 0.36
H -1.963 11.564 5.808 0.37
H -3.108 10.318 6.125 0.43
H -1.313 9.581 4.698 0.27
H -1.780 10.643 3.405 0.35
H -2.256 8.568 1.774 0.42
H -4.585 7.115 1.537 0.36
H -4.627 9.225 5.212 0.34
H -6.423 6.691 3.074 0.32
H -6.732 7.749 4.442 0.37
H -5.656 6.331 4.614 0.36
C 4.884 1.115 -5.940 -0.89
C 6.378 1.136 -5.891 -0.71
N 6.898 0.046 -6.606 0.19
C 6.786 -1.280 -6.164 -0.50
C 6.958 -2.084 -7.233 -0.41
N 7.147 -1.215 -8.339 0.12
C 7.047 0.051 -7.913 -0.03
C 7.296 -1.660 -9.717 -0.86
H 4.533 0.160 -5.540 0.15
H 4.661 1.163 -7.001 0.42
H 4.527 1.969 -5.408 0.39
H 6.753 1.192 -4.860 0.32
H 6.943 2.020 -6.334 0.42
H 6.507 -1.521 -5.148 0.53
H 7.021 -3.167 -7.334 0.43
H 7.088 1.009 -8.477 0.38
H 6.316 -1.684 -10.142 0.33
H 7.827 -2.583 -9.646 0.34
H 7.945 -0.995 -10.247 0.38
C 6.263 -1.173 7.863 -1.11
C 6.470 -1.729 6.461 -0.58
N 5.386 -1.369 5.549 0.14
C 4.031 -1.544 5.703 -0.32
C 3.511 -0.905 4.602 -0.23
N 4.479 -0.370 3.866 0.18
C 5.625 -0.650 4.435 -0.18
C 4.434 0.356 2.600 -1.07
H 6.582 -0.143 7.893 0.32
H 6.901 -1.728 8.554 0.36
H 5.267 -1.297 8.209 0.38
H 6.530 -2.805 6.343 0.40
H 7.353 -1.465 5.957 0.38
H 3.503 -2.118 6.464 0.44
H 2.433 -1.004 4.325 0.37
H 6.636 -0.450 4.045 0.34
H 4.604 1.435 2.824 0.32
H 3.545 0.155 2.084 0.48
H 5.244 0.040 1.930 0.37
C 5.116 -4.218 1.782 -1.31
C 4.174 -3.571 0.846 0.61
N 4.160 -4.352 -0.392 0.41
C 5.290 -4.807 -1.087 -0.20
C 4.821 -5.259 -2.284 -0.82
N 3.443 -5.214 -2.216 0.36
C 3.084 -4.605 -1.103 -0.39
C 2.546 -5.356 -3.379 -0.86
H 5.308 -3.511 2.636 0.11
H 6.014 -4.308 1.254 0.48
H 4.817 -5.181 2.145 0.40
H 4.557 -2.552 0.549 -0.03
H 3.102 -3.502 1.135 -0.08
H 6.307 -4.757 -0.721 0.43
H 5.412 -5.683 -3.144 0.37
H 2.052 -4.416 -0.858 0.46
H 1.661 -5.899 -3.105 0.30
H 3.014 -5.799 -4.261 0.32
H 2.308 -4.328 -3.652 0.32
C -7.470 2.144 -1.897 -1.26
C -7.502 3.569 -1.254 -0.09
N -7.656 4.728 -2.089 0.28
C -8.709 5.045 -2.935 -0.43
C -8.428 6.221 -3.505 -0.51
N -7.147 6.619 -3.023 0.23
C -6.732 5.694 -2.166 0.06
C -6.654 7.959 -3.350 -0.75
H -6.867 2.157 -2.806 0.34
H -8.540 1.818 -1.909 0.38
H -6.889 1.531 -1.266 0.38
H -6.539 3.776 -0.745 0.03
H -8.336 3.559 -0.490 0.32
H -9.530 4.359 -2.995 0.47
H -8.902 6.877 -4.194 0.43
H -5.911 5.817 -1.453 0.25
H -5.529 7.920 -3.373 0.32
H -6.822 8.707 -2.575 0.34
H -7.029 8.431 -4.299 0.27
C -0.950 0.006 -1.252 -0.80
C -2.244 0.028 -1.939 -0.41
N -2.154 -0.365 -3.450 0.14
C -1.483 0.385 -4.386 -0.49
C -1.540 -0.264 -5.567 -0.37
N -2.248 -1.427 -5.349 0.09
C -2.641 -1.446 -4.028 0.02
C -2.619 -2.378 -6.365 -0.75
H -0.990 0.664 -0.304 0.33
H -0.141 0.411 -1.898 0.27
H -0.616 -1.061 -0.936 0.21
H -2.657 1.037 -1.856 0.23
H -2.964 -0.664 -1.530 0.32
H -1.091 1.365 -4.189 0.47
H -1.093 -0.019 -6.551 0.42
H -3.220 -2.214 -3.483 0.36
H -1.771 -2.437 -7.086 0.30
H -3.449 -2.060 -6.912 0.35
H -2.848 -3.228 -5.754 0.30
C -5.079 -5.985 4.092 -1.27
C -3.801 -6.693 3.814 -0.04
N -3.225 -7.355 5.050 0.20
C -3.629 -8.521 5.705 -0.46
C -2.630 -8.865 6.550 -0.32
N -1.708 -7.859 6.449 0.07
C -2.055 -7.004 5.488 -0.15
C -0.524 -7.676 7.247 -0.83
H -5.305 -5.359 3.308 0.43
H -4.835 -5.303 4.926 0.33
H -5.848 -6.681 4.407 0.35
H -3.033 -5.940 3.511 0.01
H -3.892 -7.520 3.094 0.36
H -4.550 -8.951 5.450 0.48
H -2.355 -9.596 7.314 0.42
H -1.507 -6.105 5.172 0.37
H -0.351 -8.248 8.126 0.34
H -0.571 -6.676 7.702 0.35
H 0.396 -7.750 6.598 0.32
C -2.402 4.851 -0.190 -0.94
C -3.868 5.021 -0.553 0.83
O -4.413 6.165 -0.338 -1.00
O -4.430 4.054 -1.093 -0.65
H -2.029 3.909 -0.478 0.12
H -2.302 5.028 0.875 0.28
H -1.833 5.619 -0.718 0.31
P 0.151 -4.257 2.052 1.33
>>>

To do:
Copy the part of the entries earlier on that starts with the line with "-2.657 1.037" and stops after the one with "-2.029 3.909", please.

Reply:
H -2.657 1.037 -1.856 0.23
H -2.964 -0.664 -1.530 0.32
H -1.091 1.365 -4.189 0.47
H -1.093 -0.019 -6.551 0.42
H -3.220 -2.214 -3.483 0.36
H -1.771 -2.437 -7.086 0.30
H -3.449 -2.060 -6.912 0.35
H -2.848 -3.228 -5.754 0.30
C -5.079 -5.985 4.092 -1.27
C -3.801 -6.693 3.814 -0.04
N -3.225 -7.355 5.050 0.20
C -3.629 -8.521 5.705 -0.46
C -2.630 -8.865 6.550 -0.32
N -1.708 -7.859 6.449 0.07
C -2.055 -7.004 5.488 -0.15
C -0.524 -7.676 7.247 -0.83
H -5.305 -5.359 3.308 0.43
H -4.835 -5.303 4.926 0.33
H -5.848 -6.681 4.407 0.35
H -3.033 -5.940 3.511 0.01
H -3.892 -7.520 3.094 0.36
H -4.550 -8.951 5.450 0.48
H -2.355 -9.596 7.314 0.42
H -1.507 -6.105 5.172 0.37
H -0.351 -8.248 8.126 0.34
H -0.571 -6.676 7.702 0.35
H 0.396 -7.750 6.598 0.32
C -2.402 4.851 -0.190 -0.94
C -3.868 5.021 -0.553 0.83
O -4.413 6.165 -0.338 -1.00
O -4.430 4.054 -1.093 -0.65
H -2.029 3.909 -0.478 0.12